We’d Love Your Help
“Do you not say, ‘There are yet four months, and then comes the harvest’?
Behold, I say to you, lift up your eyes and look on the fields, that they are white for harvest” (John 4:35).
What is Volunteering?
Here at the Olympia Union Gospel Mission, volunteering is putting faith into practice and serving the Lord Jesus Christ. As a volunteer, you’ll be putting your best foot forward for the cause of Christ. Nothing could be more exciting or rewarding.
'''
## Cu13Ni2 (PBE)

Data for an optimized crystal structure of Cu13Ni2.

It has space group R-3m (No. 166, hexagonal axes), with a = 6.6500 Å, b = 6.6500 Å, c = 17.8309 Å, α = 90.00°, β = 90.00° and γ = 120.00°. The distinct sites, in fractional coordinates, are Cu at (0.0000, 0.0000, 0.0000), Cu at (0.0864, 0.5432, 0.5583), Cu at (0.0891, 0.5446, 0.3131) and Ni at (0.0000, 0.0000, 0.2325).

Its energy above the most stable polymorph in this dataset is 383 meV per atom. The total magnetization comes out at 0.000 μB/f.u. As for the formation energy: 5.7 eV/f.u.

## ZnReRu (PBE)

Data for an optimized crystal structure of ZnReRu.

It has space group F-43m (No. 216), with a = 5.855 Å, b = 5.855 Å, c = 5.855 Å, α = 90.00°, β = 90.00° and γ = 90.00°. The distinct sites, in fractional coordinates, are Zn at (0.000, 0.000, 0.000), Re at (0.000, 0.000, 0.500) and Ru at (0.250, 0.250, 0.750).

Its energy above the most stable polymorph in this dataset is 494 meV per atom. The total magnetization comes out at 0.000 μB/f.u. As for the formation energy: 1.3 eV/f.u.

## ZrFeNi (PBE)

Data for an optimized crystal structure of ZrFeNi.

It has space group F-43m (No. 216), with a = 5.928 Å, b = 5.928 Å, c = 5.928 Å, α = 90.00°, β = 90.00° and γ = 90.00°. The distinct sites, in fractional coordinates, are Zr at (0.000, 0.000, 0.000), Fe at (0.250, 0.250, 0.750) and Ni at (0.250, 0.250, 0.250).

The total magnetization comes out at 1.298 μB/f.u. As for the formation energy: 1.9 eV/f.u.

## TaHCl3 (PBE)

Data for an optimized crystal structure of TaHCl3.

It has space group Pm-3m (No. 221), with a = 4.849 Å, b = 4.849 Å, c = 4.849 Å, α = 90.00°, β = 90.00° and γ = 90.00°. The distinct sites, in fractional coordinates, are Ta at (0.000, 0.000, 0.000), H at (0.500, 0.500, 0.500) and Cl at (0.000, 0.000, 0.500).

Its energy above the most stable polymorph in this dataset is 608 meV per atom. The total magnetization comes out at 0.988 μB/f.u.

## Tb4CePmTm2 (PBE)

Data for an optimized crystal structure of Tb4CePmTm2.

It has space group Pmmm (No. 47), with a = 5.018 Å, b = 5.029 Å, c = 10.033 Å, α = 90.00°, β = 90.00° and γ = 90.00°. The distinct sites, in fractional coordinates, are Tb at (0.000, 0.000, 0.247), Tb at (0.500, 0.500, 0.248), Ce at (0.000, 0.500, 0.000), Pm at (0.500, 0.000, 0.500), Tm at (0.000, 0.500, 0.500) and Tm at (0.500, 0.000, 0.000).

The total magnetization comes out at 1.071 μB/f.u. As for the formation energy: 0.4 eV/f.u.

## AlPS2N (PBE)

Data for an optimized crystal structure of AlPS2N.

It has space group P4/mmm (No. 123), with a = 4.554 Å, b = 4.554 Å, c = 4.871 Å, α = 90.00°, β = 90.00° and γ = 90.00°. The distinct sites, in fractional coordinates, are Al at (0.000, 0.000, 0.000), P at (0.000, 0.000, 0.500), S at (0.000, 0.500, 0.000) and N at (0.500, 0.500, 0.500).
'''
To Volunteer: If you meet our Volunteer Qualifications, you should:
Step 1: Contact us at olympiamission@gmail.com or 360.709.9725, and schedule a tour of the Mission. Use this form, and a volunteer coordinator will contact you.
Step 2: Complete the Mission Volunteer application form. If you have a child who would like to join you, that may limit the available volunteer opportunities.
Step 3: Bring your completed form(s) to the orientation. (Blank copies will be available at the orientation)
Volunteer Form:
Ways you can serve as a volunteer:

Life Recovery Center (Day Room)
- Hospitality/dayroom assistant
- Teaching/attending Bible studies
- Teaching/attending 12-step studies
- Kitchen help (cooking/clean-up)
- Serving meal
- Holiday meal help
- Produce, dairy or bread pick-up
- Music (singing, playing instruments)
Life Transformation Program (addiction recovery program)
- Mentoring/Tutoring: Men or Women
- Babysitting at Genesis Acres
- Job coaching
- Housekeeping classes
Clothing Bank Ministry
- No children’s clothes or toys
- No men’s suits
- Clean new or gently used items
- If your donation consists of three or more large boxes, kindly contact us in advance at 360.709.9725, as our clothing donation area has limited space. We appreciate your cooperation.
Fundraising & Community Relations
- Barrels (check-on, pick-up, and drop-off)
- Newsletter writing/proofing
- Marketing
- Event planning
- Grant writing
Mission Administrative Needs
- Office help
- Answering phones
- Computer data entry
- Volunteer program
Dental Clinic
- Dentists, assistants, hygienists, etc.
Vision Clinic
- Optometrists, opticians, etc.
Construction, Building Repair & Maintenance
Vehicle Repair & Maintenance
Other Ways to Participate
Those who hold the Mission up in prayer form the invisible support that makes all we do at the Mission possible. If you would like to become a part of our prayer support team, please call 360. 709.9725 or use our online contact form.
Another way to donate time to the Mission is in the form of your financial support. The Mission does not receive government funding but relies solely on the generous support of individuals, churches, businesses, and private foundations to maintain services. Donate.
Church Involvement
At the Mission, Christians from many denominations work together to help solve the problems of substance abuse, debilitating emotional pain, and poverty. While secular organizations also offer social services, Mission programs offer clients true transformation through Jesus Christ. If you are a pastor or ministry leader and want to learn how your church can help, please call 360-709-9725.
Group Events
Maybe your group would like to volunteer for an event at the Olympia Union Gospel Mission. This may include hosting a holiday party, sponsor a collection drive, leading worship, provide an arts and crafts project for the Mission patrons. There are a number of different opportunities that can provide a rewarding experience in working with God as He works in the lives of people who are totally dependent on His mercy and grace. We offer the following suggestions/guidelines as you consider how God is leading your group to participate with the Mission. – Group Event Guidelines
The Kitchen provides us with greater opportunities to minister to homeless and needy men, women, and children. In order for us to accomplish this mission, we need volunteer teams to help prepare meals. Current openings are 2nd, 3rd, and fourth Tuesday’s of the month and Saturday and Sunday.
Food items we often needed include commodity sizes of the following: Coffee, sugar, brown sugar, creamer, shelf-stable milk, pancake mix, biscuit mix, rolled oats. Items such as cheese, milk, and meat are always needed. Traditional holiday food items.
Hot Meals: Monday – Fridays 6:30am, Noon, & 5:30pm; Saturdays 10am – 11am; Sundays 7:30am & Noon
Questions? Call Karen Robbins at 360-709-9725, ext. 116, or email her at Karen@ougm.org